To do >
The reader should reproduce the lines underneath up to the one that holds "0.997 0.003", that line included.
Data >
=====
--- one ---
YCo2S4, relaxed, DFT PBE; mass density = 4.4 Mg/m³; magnetization = 2.0 μB/cell; space-group type = Imma (74)
1.0
-3.443 3.792 4.867
3.443 -3.792 4.867
3.443 3.792 -4.867
Co S Y
4 8 2
direct
0.000 0.500 0.500
0.500 0.500 0.000
0.500 0.500 0.500
0.500 0.000 0.000
0.725 0.273 0.452
0.680 0.727 0.952
0.275 0.727 0.548
0.320 0.273 0.048
0.260 0.289 0.529
0.740 0.711 0.471
0.740 0.269 0.029
0.260 0.731 0.971
0.000 0.000 0.000
0.500 0.000 0.500

--- two ---
YCo2S4, relaxed, DFT PBE; mass density = 4.3 Mg/m³; magnetization = 1.9 μB/cell; space-group type = I4_1/amd (141)
1.0
1.718 -6.874 1.354
-6.555 -2.298 -1.945
4.006 4.054 -4.423
Co S Y
4 8 2
direct
0.875 0.125 0.250
0.875 0.625 0.750
0.375 0.125 0.250
0.875 0.125 0.750
0.100 0.890 0.791
0.691 0.900 0.791
0.100 0.309 0.209
0.110 0.900 0.209
0.650 0.360 0.709
0.640 0.350 0.291
0.650 0.941 0.291
0.059 0.350 0.709
0.250 0.750 0.500
0.500 0.500 0.000

Least stable structure: two

--- one ---
ZnCo2S4, relaxed, DFT PBE; mass density = 4.6 Mg/m³; magnetization = 0.0 μB/cell; space-group type = Fd-3m (227)
1.0
0.000 4.812 4.812
4.812 0.000 4.812
4.812 4.812 0.000
S Co Zn
8 4 2
direct
0.391 0.391 0.827
0.859 0.859 0.423
0.859 0.423 0.859
0.827 0.391 0.391
0.423 0.859 0.859
0.391 0.391 0.391
0.859 0.859 0.859
0.391 0.827 0.391
0.625 0.625 0.125
0.125 0.625 0.625
0.625 0.125 0.625
0.625 0.625 0.625
0.000 0.000 0.000
0.250 0.250 0.250

--- two ---
ZnCo2S4, relaxed, DFT PBE; mass density = 4.6 Mg/m³; magnetization = 0.0 μB/cell; space-group type = Imma (74)
1.0
-5.423 -3.083 2.757
-0.441 5.106 4.500
-0.014 1.387 -6.678
Co S Zn
4 8 2
direct
0.000 0.500 0.000
0.000 0.000 0.500
0.500 0.000 0.500
0.000 0.000 0.000
0.207 0.243 0.964
0.221 0.757 0.464
0.233 0.761 0.029
0.793 0.757 0.036
0.767 0.239 0.971
0.779 0.243 0.536
0.767 0.796 0.529
0.233 0.204 0.471
0.000 0.500 0.500
0.500 0.500 0.000

Least stable structure: two

--- one ---
Sc2Co3Si5, relaxed, DFT PBE; mass density = 4.9 Mg/m³; magnetization = 0.5 μB/cell; space-group type = C2/c (15)
1.0
5.611 5.237 0.000
-5.611 5.237 0.000
0.000 2.513 4.720
Co Sc Si
6 4 10
direct
0.263 0.543 0.627
0.543 0.263 0.127
0.997 0.003 0.250
0.003 0.997 0.750
0.737 0.457 0.373
0.457 0.737 0.873
0.871 0.594 0.765
0.129 0.406 0.235
0.594 0.871 0.265
0.406 0.129 0.735
0.227 0.773 0.250
0.928 0.735 0.170
0.487 0.513 0.250
0.513 0.487 0.750
0.773 0.227 0.750
0.211 0.789 0.750
0.265 0.072 0.330
0.789 0.211 0.250
0.072 0.265 0.830
0.735 0.928 0.670

--- two ---
Sc2Co3Si5, relaxed, DFT PBE; mass density = 4.9 Mg/m³; magnetization = 0.0 μB/cell; space-group type = Ibam (72)
1.0
-2.696 4.705 5.449
2.696 -4.705 5.449
2.696 4.705 -5.449
Co Si Sc
6 10 4
direct
0.252 0.862 0.390
0.472 0.362 0.110
0.528 0.638 0.890
0.000 0.250 0.250
0.748 0.138 0.610
0.000 0.750 0.750
0.225 0.975 0.750
0.775 0.525 0.750
0.500 0.750 0.250
0.775 0.025 0.250
0.063 0.901 0.162
0.225 0.475 0.250
0.937 0.099 0.838
0.500 0.250 0.750
0.262 0.599 0.662
0.738 0.401 0.338
0.132 0.365 0.767
0.598 0.865 0.733
0.868 0.635 0.233
0.402 0.135 0.267

Least stable structure: two

--- one ---
Co3Se4, relaxed, DFT PBE; mass density = 6.8 Mg/m³; space-group type = Fd-3m (227)
1.0
0.000 4.927 4.927
4.927 0.000 4.927
4.927 4.927 0.000
Se Co
8 6
direct
0.368 0.368 0.897
0.368 0.897 0.368
0.882 0.882 0.882
0.897 0.368 0.368
0.368 0.368 0.368
0.882 0.882 0.353
0.353 0.882 0.882
0.882 0.353 0.882
0.125 0.125 0.625
0.500 0.500 0.500
0.750 0.750 0.750
0.125 0.125 0.125
0.625 0.125 0.125
0.125 0.625 0.125

--- two ---
Co3Se4, relaxed, DFT PBE; mass density = 7.2 Mg/m³; space-group type = C2/m (12)
1.0
-1.882 2.000 -2.288
-3.901 1.510 4.529
5.697 2.362 0.171
Co Se
3 4
direct
0.239 0.219 0.478
0.500 0.500 0.000
0.761 0.781 0.522
0.134 0.476 0.268
0.866 0.524 0.732
0.622 0.956 0.245
0.378 0.044 0.755

Least stable structure: two

----------

1.
First-principles (r²SCAN) data for a geometry-optimized LiGdGe structure, as listed in the Materials Project database.

Calculated values
=====
Done >
--- one ---
YCo2S4, relaxed, DFT PBE; mass density = 4.4 Mg/m³; magnetization = 2.0 μB/cell; space-group type = Imma (74)
1.0
-3.443 3.792 4.867
3.443 -3.792 4.867
3.443 3.792 -4.867
Co S Y
4 8 2
direct
0.000 0.500 0.500
0.500 0.500 0.000
0.500 0.500 0.500
0.500 0.000 0.000
0.725 0.273 0.452
0.680 0.727 0.952
0.275 0.727 0.548
0.320 0.273 0.048
0.260 0.289 0.529
0.740 0.711 0.471
0.740 0.269 0.029
0.260 0.731 0.971
0.000 0.000 0.000
0.500 0.000 0.500

--- two ---
YCo2S4, relaxed, DFT PBE; mass density = 4.3 Mg/m³; magnetization = 1.9 μB/cell; space-group type = I4_1/amd (141)
1.0
1.718 -6.874 1.354
-6.555 -2.298 -1.945
4.006 4.054 -4.423
Co S Y
4 8 2
direct
0.875 0.125 0.250
0.875 0.625 0.750
0.375 0.125 0.250
0.875 0.125 0.750
0.100 0.890 0.791
0.691 0.900 0.791
0.100 0.309 0.209
0.110 0.900 0.209
0.650 0.360 0.709
0.640 0.350 0.291
0.650 0.941 0.291
0.059 0.350 0.709
0.250 0.750 0.500
0.500 0.500 0.000

Least stable structure: two

--- one ---
ZnCo2S4, relaxed, DFT PBE; mass density = 4.6 Mg/m³; magnetization = 0.0 μB/cell; space-group type = Fd-3m (227)
1.0
0.000 4.812 4.812
4.812 0.000 4.812
4.812 4.812 0.000
S Co Zn
8 4 2
direct
0.391 0.391 0.827
0.859 0.859 0.423
0.859 0.423 0.859
0.827 0.391 0.391
0.423 0.859 0.859
0.391 0.391 0.391
0.859 0.859 0.859
0.391 0.827 0.391
0.625 0.625 0.125
0.125 0.625 0.625
0.625 0.125 0.625
0.625 0.625 0.625
0.000 0.000 0.000
0.250 0.250 0.250

--- two ---
ZnCo2S4, relaxed, DFT PBE; mass density = 4.6 Mg/m³; magnetization = 0.0 μB/cell; space-group type = Imma (74)
1.0
-5.423 -3.083 2.757
-0.441 5.106 4.500
-0.014 1.387 -6.678
Co S Zn
4 8 2
direct
0.000 0.500 0.000
0.000 0.000 0.500
0.500 0.000 0.500
0.000 0.000 0.000
0.207 0.243 0.964
0.221 0.757 0.464
0.233 0.761 0.029
0.793 0.757 0.036
0.767 0.239 0.971
0.779 0.243 0.536
0.767 0.796 0.529
0.233 0.204 0.471
0.000 0.500 0.500
0.500 0.500 0.000

Least stable structure: two

--- one ---
Sc2Co3Si5, relaxed, DFT PBE; mass density = 4.9 Mg/m³; magnetization = 0.5 μB/cell; space-group type = C2/c (15)
1.0
5.611 5.237 0.000
-5.611 5.237 0.000
0.000 2.513 4.720
Co Sc Si
6 4 10
direct
0.263 0.543 0.627
0.543 0.263 0.127
0.997 0.003 0.250